### Source
Record 1
VASP calculation (PBEsol) on a geometry-optimized HfPbO3 structure.

Calculated values
For the uncorrected energy, the calculation gives -8.6100 eV/atom. For the uncorrected formation energy, the calculation gives -2.5601 eV/atom.

a = 4.107 Å, b = 4.107 Å, c = 4.107 Å
α = 90.00°, β = 90.00°, γ = 90.00°
Space group Pm-3m (No. 221)
Unique sites:
Hf 0.000 0.000 0.000 [1 per cell]
Pb 0.500 0.500 0.500 [1 per cell]
O 0.000 0.000 0.500 [3 per cell]

---

Record 2
VASP calculation (PBEsol) on a geometry-optimized Sc2IrRh structure.

Calculated values
For the uncorrected energy, the calculation gives -8.4603 eV/atom. The value obtained for the formation energy is -667 meV/atom. The energy above the most stable polymorph in this dataset comes out at 349 meV per atom.

a = 2.989 Å, b = 4.252 Å, c = 5.304 Å
α = 90.00°, β = 90.00°, γ = 90.00°
Space group Pmm2 (No. 25)
Unique sites:
Sc 0.000 0.000 0.000 [1 per cell]
Sc 0.500 0.500 0.353 [1 per cell]
Ir 0.000 0.000 0.500 [1 per cell]
Rh 0.500 0.500 0.848 [1 per cell]

---

Record 3
VASP calculation (PBEsol) on a geometry-optimized YFeSb2Te structure.

Calculated values
For the uncorrected energy, the calculation gives -5.7253 eV/atom. For the uncorrected formation energy, the calculation gives -0.0400 eV/atom.

a = 4.735 Å, b = 4.735 Å, c = 5.581 Å
α = 90.00°, β = 90.00°, γ = 90.00°
Space group P4/mmm (No. 123)
Unique sites:
Y 0.000 0.000 0.000 [1 per cell]
Fe 0.500 0.500 0.500 [1 per cell]
Sb 0.000 0.500 0.500 [2 per cell]
Te 0.500 0.500 0.000 [1 per cell]

---

Repeat the third record exactly.
VASP calculation (PBEsol) on a geometry-optimized YFeSb2Te structure.

Calculated values
For the uncorrected energy, the calculation gives -5.7253 eV/atom. For the uncorrected formation energy, the calculation gives -0.0400 eV/atom.

a = 4.735 Å, b = 4.735 Å, c = 5.581 Å
α = 90.00°, β = 90.00°, γ = 90.00°
Space group P4/mmm (No. 123)
Unique sites:
Y 0.000 0.000 0.000 [1 per cell]
Fe 0.500 0.500 0.500 [1 per cell]
Sb 0.000 0.500 0.500 [2 per cell]
Te 0.500 0.500 0.000 [1 per cell]


Crystalline Li3Mn2P3O12 at its relaxed geometry, computed with PBEsol.

a b c (Å): 8.5138 8.5583 12.0341
angles (deg): 90.00 93.83 90.00
With the nearest neighbours (Å) after each atom.
Sites, in units of the cell vectors:
Mn (0.2784, 0.9920, 0.6464)  4 O 1.83-1.97
Mn (0.2087, 0.4991, 0.3570)  5 O 1.87-2.04
Mn (0.7913, 0.4991, 0.1430)  5 O 1.87-2.04
Mn (0.2087, 0.5009, 0.8570)  5 O 1.87-2.04
Mn (0.7216, 0.0080, 0.3536)  4 O 1.83-1.97
Mn (0.7216, 0.9920, 0.8536)  4 O 1.83-1.97
Mn (0.7913, 0.5009, 0.6430)  5 O 1.87-2.04
Mn (0.2784, 0.0080, 0.1464)  4 O 1.83-1.97
O (0.9476, 0.0994, 0.8430)  1 P 1.55
O (0.7322, 0.5944, 0.7860)  1 P 1.54
O (0.1372, 0.6919, 0.3014)  1 P 1.54
O (0.2667, 0.0961, 0.2917)  1 P 1.54
O (0.2603, 0.4009, 0.0087)  1 P 1.55
O (0.3233, 0.3285, 0.4240)  1 P 1.56
O (0.6767, 0.3285, 0.0760)  1 P 1.56
O (0.7322, 0.4056, 0.2860)  1 P 1.54
O (0.9988, 0.5704, 0.8902)  1 P 1.51
O (0.8628, 0.3081, 0.6986)  1 P 1.54
O (0.7333, 0.0961, 0.2083)  1 P 1.54
O (0.7397, 0.5991, 0.9913)  1 P 1.55
O (0.2603, 0.5991, 0.5087)  1 P 1.55
O (0.2539, 0.9497, 0.9878)  1 P 1.56
O (0.0012, 0.4296, 0.1098)  1 P 1.51
O (0.5233, 0.1263, 0.4153)  1 P 1.53
O (0.8621, 0.1771, 0.3980)  1 P 1.58
O (0.3745, 0.8243, 0.1903)  1 P 1.53
O (0.5233, 0.8737, 0.9153)  1 P 1.53
O (0.6767, 0.6715, 0.5760)  1 P 1.56
O (0.2667, 0.9039, 0.7917)  1 P 1.54
O (0.7333, 0.9039, 0.7083)  1 P 1.54
O (0.5599, 0.6147, 0.1572)  1 P 1.55
O (0.7461, 0.9497, 0.5122)  1 P 1.56
O (0.1379, 0.8229, 0.6020)  1 P 1.58
O (0.2678, 0.5944, 0.7140)  1 P 1.54
O (0.4767, 0.8737, 0.5847)  1 P 1.53
O (0.1372, 0.3081, 0.8014)  1 P 1.54
O (0.2678, 0.4056, 0.2140)  1 P 1.54
O (0.3745, 0.1757, 0.6903)  1 P 1.53
O (0.4767, 0.1263, 0.0847)  1 P 1.53
O (0.1379, 0.1771, 0.1020)  1 P 1.58
O (0.5599, 0.3853, 0.6572)  1 P 1.55
O (0.8621, 0.8229, 0.8980)  1 P 1.58
O (0.6255, 0.1757, 0.8097)  1 P 1.53
O (0.0012, 0.5704, 0.6098)  1 P 1.51
O (0.6255, 0.8243, 0.3097)  1 P 1.53

### Brief
Now copy everything further up unchanged.

### Written answer
Record 1
VASP calculation (PBEsol) on a geometry-optimized HfPbO3 structure.

Calculated values
For the uncorrected energy, the calculation gives -8.6100 eV/atom. For the uncorrected formation energy, the calculation gives -2.5601 eV/atom.

a = 4.107 Å, b = 4.107 Å, c = 4.107 Å
α = 90.00°, β = 90.00°, γ = 90.00°
Space group Pm-3m (No. 221)
Unique sites:
Hf 0.000 0.000 0.000 [1 per cell]
Pb 0.500 0.500 0.500 [1 per cell]
O 0.000 0.000 0.500 [3 per cell]

---

Record 2
VASP calculation (PBEsol) on a geometry-optimized Sc2IrRh structure.

Calculated values
For the uncorrected energy, the calculation gives -8.4603 eV/atom. The value obtained for the formation energy is -667 meV/atom. The energy above the most stable polymorph in this dataset comes out at 349 meV per atom.

a = 2.989 Å, b = 4.252 Å, c = 5.304 Å
α = 90.00°, β = 90.00°, γ = 90.00°
Space group Pmm2 (No. 25)
Unique sites:
Sc 0.000 0.000 0.000 [1 per cell]
Sc 0.500 0.500 0.353 [1 per cell]
Ir 0.000 0.000 0.500 [1 per cell]
Rh 0.500 0.500 0.848 [1 per cell]

---

Record 3
VASP calculation (PBEsol) on a geometry-optimized YFeSb2Te structure.

Calculated values
For the uncorrected energy, the calculation gives -5.7253 eV/atom. For the uncorrected formation energy, the calculation gives -0.0400 eV/atom.

a = 4.735 Å, b = 4.735 Å, c = 5.581 Å
α = 90.00°, β = 90.00°, γ = 90.00°
Space group P4/mmm (No. 123)
Unique sites:
Y 0.000 0.000 0.000 [1 per cell]
Fe 0.500 0.500 0.500 [1 per cell]
Sb 0.000 0.500 0.500 [2 per cell]
Te 0.500 0.500 0.000 [1 per cell]

---

Repeat the third record exactly.
VASP calculation (PBEsol) on a geometry-optimized YFeSb2Te structure.

Calculated values
For the uncorrected energy, the calculation gives -5.7253 eV/atom. For the uncorrected formation energy, the calculation gives -0.0400 eV/atom.

a = 4.735 Å, b = 4.735 Å, c = 5.581 Å
α = 90.00°, β = 90.00°, γ = 90.00°
Space group P4/mmm (No. 123)
Unique sites:
Y 0.000 0.000 0.000 [1 per cell]
Fe 0.500 0.500 0.500 [1 per cell]
Sb 0.000 0.500 0.500 [2 per cell]
Te 0.500 0.500 0.000 [1 per cell]


Crystalline Li3Mn2P3O12 at its relaxed geometry, computed with PBEsol.

a b c (Å): 8.5138 8.5583 12.0341
angles (deg): 90.00 93.83 90.00
With the nearest neighbours (Å) after each atom.
Sites, in units of the cell vectors:
Mn (0.2784, 0.9920, 0.6464)  4 O 1.83-1.97
Mn (0.2087, 0.4991, 0.3570)  5 O 1.87-2.04
Mn (0.7913, 0.4991, 0.1430)  5 O 1.87-2.04
Mn (0.2087, 0.5009, 0.8570)  5 O 1.87-2.04
Mn (0.7216, 0.0080, 0.3536)  4 O 1.83-1.97
Mn (0.7216, 0.9920, 0.8536)  4 O 1.83-1.97
Mn (0.7913, 0.5009, 0.6430)  5 O 1.87-2.04
Mn (0.2784, 0.0080, 0.1464)  4 O 1.83-1.97
O (0.9476, 0.0994, 0.8430)  1 P 1.55
O (0.7322, 0.5944, 0.7860)  1 P 1.54
O (0.1372, 0.6919, 0.3014)  1 P 1.54
O (0.2667, 0.0961, 0.2917)  1 P 1.54
O (0.2603, 0.4009, 0.0087)  1 P 1.55
O (0.3233, 0.3285, 0.4240)  1 P 1.56
O (0.6767, 0.3285, 0.0760)  1 P 1.56
O (0.7322, 0.4056, 0.2860)  1 P 1.54
O (0.9988, 0.5704, 0.8902)  1 P 1.51
O (0.8628, 0.3081, 0.6986)  1 P 1.54
O (0.7333, 0.0961, 0.2083)  1 P 1.54
O (0.7397, 0.5991, 0.9913)  1 P 1.55
O (0.2603, 0.5991, 0.5087)  1 P 1.55
O (0.2539, 0.9497, 0.9878)  1 P 1.56
O (0.0012, 0.4296, 0.1098)  1 P 1.51
O (0.5233, 0.1263, 0.4153)  1 P 1.53
O (0.8621, 0.1771, 0.3980)  1 P 1.58
O (0.3745, 0.8243, 0.1903)  1 P 1.53
O (0.5233, 0.8737, 0.9153)  1 P 1.53
O (0.6767, 0.6715, 0.5760)  1 P 1.56
O (0.2667, 0.9039, 0.7917)  1 P 1.54
O (0.7333, 0.9039, 0.7083)  1 P 1.54
O (0.5599, 0.6147, 0.1572)  1 P 1.55
O (0.7461, 0.9497, 0.5122)  1 P 1.56
O (0.1379, 0.8229, 0.6020)  1 P 1.58
O (0.2678, 0.5944, 0.7140)  1 P 1.54
O (0.4767, 0.8737, 0.5847)  1 P 1.53
O (0.1372, 0.3081, 0.8014)  1 P 1.54
O (0.2678, 0.4056, 0.2140)  1 P 1.54
O (0.3745, 0.1757, 0.6903)  1 P 1.53
O (0.4767, 0.1263, 0.0847)  1 P 1.53
O (0.1379, 0.1771, 0.1020)  1 P 1.58
O (0.5599, 0.3853, 0.6572)  1 P 1.55
O (0.8621, 0.8229, 0.8980)  1 P 1.58
O (0.6255, 0.1757, 0.8097)  1 P 1.53
O (0.0012, 0.5704, 0.6098)  1 P 1.51
O (0.6255, 0.8243, 0.3097)  1 P 1.53